**Given:**
********
Entry 1:
# PBE-GGA SnN, optimized geometry
# Formation energy from raw total energies, meV per atom: 303
# Energy, eV/cell: -70.3
data_SnN
_space_group_name_H-M_alt 'R -3 m'
_space_group_IT_number 166
_space_group_name_Hall '-R 3 2"'
_cell_length_a 3.7112
_cell_length_b 3.7112
_cell_length_c 17.0401
_cell_angle_alpha 90.00
_cell_angle_beta 90.00
_cell_angle_gamma 120.00
loop_
_atom_site_label
_atom_site_fract_x
_atom_site_fract_y
_atom_site_fract_z
Sn1 0.0000 0.0000 0.0868
N1 0.0000 0.0000 0.2213


Entry 2:
# PBE-GGA YTe2P2, optimized geometry
# Formation energy from raw total energies, meV per atom: -172
# Relative energy among the computed polymorphs, eV/atom: 0.000
# Energy, eV/cell: -48.9
data_YTe2P2
_space_group_name_H-M_alt 'I 4/m m m'
_space_group_IT_number 139
_space_group_name_Hall '-I 4 2'
_cell_length_a 3.691
_cell_length_b 3.691
_cell_length_c 18.388
_cell_angle_alpha 90.00
_cell_angle_beta 90.00
_cell_angle_gamma 90.00
loop_
_atom_site_label
_atom_site_fract_x
_atom_site_fract_y
_atom_site_fract_z
Y1 0.000 0.000 0.000
Te1 0.000 0.000 0.407
P1 0.000 0.500 0.250


The lowest energy belongs to which entry? SnN

=====

SrCoRu2 | Alexandria via LeMat-Bulk | meta-GGA SCAN | PBEsol geometry; energy of formation = 0.811 eV per atom; spin magnetization = 3.635 μB per formula unit; excess energy over the best structure of this formula in the dataset = 150 meV per atom; calculated volume = 16.04 Å³/atom
1.0
4.494 0.000 0.000
2.247 3.892 0.000
2.247 1.297 3.669
Co Ru Sr
1 2 1
direct
0.500 0.500 0.500
0.000 0.000 0.000
0.750 0.750 0.750
0.250 0.250 0.250


SrCo2Ru | Alexandria via LeMat-Bulk | meta-GGA SCAN | PBEsol geometry; energy of formation = 0.191 eV per atom; spin magnetization = 3.616 μB per formula unit; excess energy over the best structure of this formula in the dataset = 0 meV per atom; calculated volume = 18.95 Å³/atom
1.0
4.081 0.000 0.000
2.040 3.534 0.000
2.040 1.178 5.258
Ru Co Sr
1 2 1
direct
0.000 0.000 0.000
0.689 0.689 0.934
0.311 0.311 0.066
0.500 0.500 0.500


The highest spin magnetization belongs to which entry? SrCoRu2


Among the records above, which one has the highest excess energy over the best structure of this formula in the dataset? SrCoRu2


Please write out number 2 again, unchanged.
SrCo2Ru | Alexandria via LeMat-Bulk | meta-GGA SCAN | PBEsol geometry; energy of formation = 0.191 eV per atom; spin magnetization = 3.616 μB per formula unit; excess energy over the best structure of this formula in the dataset = 0 meV per atom; calculated volume = 18.95 Å³/atom
1.0
4.081 0.000 0.000
2.040 3.534 0.000
2.040 1.178 5.258
Ru Co Sr
1 2 1
direct
0.000 0.000 0.000
0.689 0.689 0.934
0.311 0.311 0.066
0.500 0.500 0.500
********

**Wanted:**
The reader should find the line above that holds "_space_group_name_H-M_alt 'I", then write out that line and all lines after it there.

**Outcome:**
_space_group_name_H-M_alt 'I 4/m m m'
_space_group_IT_number 139
_space_group_name_Hall '-I 4 2'
_cell_length_a 3.691
_cell_length_b 3.691
_cell_length_c 18.388
_cell_angle_alpha 90.00
_cell_angle_beta 90.00
_cell_angle_gamma 90.00
loop_
_atom_site_label
_atom_site_fract_x
_atom_site_fract_y
_atom_site_fract_z
Y1 0.000 0.000 0.000
Te1 0.000 0.000 0.407
P1 0.000 0.500 0.250


The lowest energy belongs to which entry? SnN

=====

SrCoRu2 | Alexandria via LeMat-Bulk | meta-GGA SCAN | PBEsol geometry; energy of formation = 0.811 eV per atom; spin magnetization = 3.635 μB per formula unit; excess energy over the best structure of this formula in the dataset = 150 meV per atom; calculated volume = 16.04 Å³/atom
1.0
4.494 0.000 0.000
2.247 3.892 0.000
2.247 1.297 3.669
Co Ru Sr
1 2 1
direct
0.500 0.500 0.500
0.000 0.000 0.000
0.750 0.750 0.750
0.250 0.250 0.250


SrCo2Ru | Alexandria via LeMat-Bulk | meta-GGA SCAN | PBEsol geometry; energy of formation = 0.191 eV per atom; spin magnetization = 3.616 μB per formula unit; excess energy over the best structure of this formula in the dataset = 0 meV per atom; calculated volume = 18.95 Å³/atom
1.0
4.081 0.000 0.000
2.040 3.534 0.000
2.040 1.178 5.258
Ru Co Sr
1 2 1
direct
0.000 0.000 0.000
0.689 0.689 0.934
0.311 0.311 0.066
0.500 0.500 0.500


The highest spin magnetization belongs to which entry? SrCoRu2


Among the records above, which one has the highest excess energy over the best structure of this formula in the dataset? SrCoRu2


Please write out number 2 again, unchanged.
SrCo2Ru | Alexandria via LeMat-Bulk | meta-GGA SCAN | PBEsol geometry; energy of formation = 0.191 eV per atom; spin magnetization = 3.616 μB per formula unit; excess energy over the best structure of this formula in the dataset = 0 meV per atom; calculated volume = 18.95 Å³/atom
1.0
4.081 0.000 0.000
2.040 3.534 0.000
2.040 1.178 5.258
Ru Co Sr
1 2 1
direct
0.000 0.000 0.000
0.689 0.689 0.934
0.311 0.311 0.066
0.500 0.500 0.500